Exercise:
Could you reproduce everything underneath without additions?
Data:
'''
Model A:
Density functional theory data (GGA-PBE) for a geometry-optimized VHRh3 structure.

Properties
Magnetization, μB/atom: 0.057

abc: 3.856 7.799 7.697
angles: 90.00 90.00 90.00
Space group Amm2 (No. 38)
Unique sites:
V 0.000 0.237 0.000 (multiplicity 4)
H 0.000 0.000 0.508 (multiplicity 2)
H 0.500 0.000 0.255 (multiplicity 2)
Rh 0.000 0.000 0.247 (multiplicity 2)
Rh 0.000 0.000 0.758 (multiplicity 2)
Rh 0.500 0.000 0.505 (multiplicity 2)
Rh 0.500 0.000 0.999 (multiplicity 2)
Rh 0.500 0.247 0.752 (multiplicity 4)

---

Model B:
Density functional theory data (GGA-PBE) for a geometry-optimized VHRh3 structure.

Properties
Magnetization, μB/atom: 0.019

abc: 3.871 3.871 3.871
angles: 90.00 90.00 90.00
Space group Pm-3m (No. 221)
Unique sites:
V 0.000 0.000 0.000 (multiplicity 1)
H 0.500 0.500 0.500 (multiplicity 1)
Rh 0.000 0.500 0.500 (multiplicity 3)

---

Pick model A: it beats the second-best structure by 6 meV per atom.

---

Model A:
Density functional theory data (GGA-PBE) for a geometry-optimized VH2Rh structure.

Properties
Magnetization, μB/atom: 0.208

abc: 5.163 5.163 5.163
angles: 90.00 90.00 90.00
Space group Fm-3m (No. 225)
Unique sites:
V 0.000 0.000 0.000 (multiplicity 4)
H 0.250 0.250 0.250 (multiplicity 8)
Rh 0.000 0.000 0.500 (multiplicity 4)

---

Model B:
Density functional theory data (GGA-PBE) for a geometry-optimized VH2Rh structure.

Properties
Magnetization, μB/atom: 0.251

abc: 4.095 4.095 8.232
angles: 90.00 90.00 90.00
Space group I-42d (No. 122)
Unique sites:
V 0.000 0.000 0.000 (multiplicity 4)
H 0.247 0.250 0.625 (multiplicity 8)
Rh 0.000 0.000 0.500 (multiplicity 4)

---

Pick model B: it beats the second-best structure by 479 meV per atom.

---

Model A:
Density functional theory data (GGA-PBE) for a geometry-optimized VH2Rh structure.

Properties
Magnetization, μB/atom: 0.000

abc: 2.8208 2.8208 14.3149
angles: 90.00 90.00 120.00
Space group R3m (No. 160, hexagonal axes)
Unique sites:
V 0.0000 0.0000 0.0000 (multiplicity 3)
H 0.0000 0.0000 0.6101 (multiplicity 3)
H 0.0000 0.0000 0.7523 (multiplicity 3)
Rh 0.0000 0.0000 0.4869 (multiplicity 3)

---

Model B:
Density functional theory data (GGA-PBE) for a geometry-optimized VH2Rh structure.

Properties
Magnetization, μB/atom: 0.000

abc: 2.8172 2.8172 13.6768
angles: 90.00 90.00 120.00
Space group R-3m (No. 166, hexagonal axes)
Unique sites:
V 0.0000 0.0000 0.0000 (multiplicity 3)
H 0.0000 0.0000 0.2596 (multiplicity 6)
Rh 0.0000 0.0000 0.5000 (multiplicity 3)

---

Pick model B: it beats the second-best structure by 55 meV per atom.

---

Model A:
Density functional theory data (GGA-PBE) for a geometry-optimized V2HRhW structure.

Properties
Magnetization, μB/atom: 0.000

abc: 3.906 3.906 3.896
angles: 90.00 90.00 90.00
Space group P4/mmm (No. 123)
Unique sites:
V 0.000 0.500 0.000 (multiplicity 2)
H 0.000 0.000 0.000 (multiplicity 1)
Rh 0.500 0.500 0.500 (multiplicity 1)
W 0.000 0.000 0.500 (multiplicity 1)

---

Model B:
Density functional theory data (GGA-PBE) for a geometry-optimized V2HRhW structure.

Properties
Magnetization, μB/atom: 0.000

abc: 4.149 4.149 3.464
angles: 90.00 90.00 90.00
Space group P4/mmm (No. 123)
Unique sites:
V 0.000 0.500 0.000 (multiplicity 2)
H 0.000 0.000 0.000 (multiplicity 1)
Rh 0.000 0.000 0.500 (multiplicity 1)
W 0.500 0.500 0.500 (multiplicity 1)

---

Pick model B: it beats the second-best structure by 36 meV per atom.

=====

[1]
4
Lattice="-2.001 1.916 -1.208 -2.824 0.110 1.071 1.009 7.325 6.169" Properties=species:S:1:pos:R:3 comment="GGA-PBE ErGa2W, optimized geometry" total_magnetization_mub_per_cell=0.0 formation_enthalpy_0k_ev_per_atom=0.114 pbc="T T T"
Ga -1.014 2.185 1.365
Ga -2.802 7.167 4.668
Er -1.908 4.676 3.016
W 0.000 0.000 0.000

[2]
4
Lattice="3.268 0.000 0.000 0.000 3.266 0.000 0.000 0.000 9.666" Properties=species:S:1:pos:R:3 comment="GGA-PBE TcTePb2, optimized geometry" total_magnetization_mub_per_cell=0.0 raw_formation_energy_ev_per_fu=1.9 pbc="T T T"
Pb 0.000 0.000 4.235
'''
Written answer:
Model A:
Density functional theory data (GGA-PBE) for a geometry-optimized VHRh3 structure.

Properties
Magnetization, μB/atom: 0.057

abc: 3.856 7.799 7.697
angles: 90.00 90.00 90.00
Space group Amm2 (No. 38)
Unique sites:
V 0.000 0.237 0.000 (multiplicity 4)
H 0.000 0.000 0.508 (multiplicity 2)
H 0.500 0.000 0.255 (multiplicity 2)
Rh 0.000 0.000 0.247 (multiplicity 2)
Rh 0.000 0.000 0.758 (multiplicity 2)
Rh 0.500 0.000 0.505 (multiplicity 2)
Rh 0.500 0.000 0.999 (multiplicity 2)
Rh 0.500 0.247 0.752 (multiplicity 4)

---

Model B:
Density functional theory data (GGA-PBE) for a geometry-optimized VHRh3 structure.

Properties
Magnetization, μB/atom: 0.019

abc: 3.871 3.871 3.871
angles: 90.00 90.00 90.00
Space group Pm-3m (No. 221)
Unique sites:
V 0.000 0.000 0.000 (multiplicity 1)
H 0.500 0.500 0.500 (multiplicity 1)
Rh 0.000 0.500 0.500 (multiplicity 3)

---

Pick model A: it beats the second-best structure by 6 meV per atom.

---

Model A:
Density functional theory data (GGA-PBE) for a geometry-optimized VH2Rh structure.

Properties
Magnetization, μB/atom: 0.208

abc: 5.163 5.163 5.163
angles: 90.00 90.00 90.00
Space group Fm-3m (No. 225)
Unique sites:
V 0.000 0.000 0.000 (multiplicity 4)
H 0.250 0.250 0.250 (multiplicity 8)
Rh 0.000 0.000 0.500 (multiplicity 4)

---

Model B:
Density functional theory data (GGA-PBE) for a geometry-optimized VH2Rh structure.

Properties
Magnetization, μB/atom: 0.251

abc: 4.095 4.095 8.232
angles: 90.00 90.00 90.00
Space group I-42d (No. 122)
Unique sites:
V 0.000 0.000 0.000 (multiplicity 4)
H 0.247 0.250 0.625 (multiplicity 8)
Rh 0.000 0.000 0.500 (multiplicity 4)

---

Pick model B: it beats the second-best structure by 479 meV per atom.

---

Model A:
Density functional theory data (GGA-PBE) for a geometry-optimized VH2Rh structure.

Properties
Magnetization, μB/atom: 0.000

abc: 2.8208 2.8208 14.3149
angles: 90.00 90.00 120.00
Space group R3m (No. 160, hexagonal axes)
Unique sites:
V 0.0000 0.0000 0.0000 (multiplicity 3)
H 0.0000 0.0000 0.6101 (multiplicity 3)
H 0.0000 0.0000 0.7523 (multiplicity 3)
Rh 0.0000 0.0000 0.4869 (multiplicity 3)

---

Model B:
Density functional theory data (GGA-PBE) for a geometry-optimized VH2Rh structure.

Properties
Magnetization, μB/atom: 0.000

abc: 2.8172 2.8172 13.6768
angles: 90.00 90.00 120.00
Space group R-3m (No. 166, hexagonal axes)
Unique sites:
V 0.0000 0.0000 0.0000 (multiplicity 3)
H 0.0000 0.0000 0.2596 (multiplicity 6)
Rh 0.0000 0.0000 0.5000 (multiplicity 3)

---

Pick model B: it beats the second-best structure by 55 meV per atom.

---

Model A:
Density functional theory data (GGA-PBE) for a geometry-optimized V2HRhW structure.

Properties
Magnetization, μB/atom: 0.000

abc: 3.906 3.906 3.896
angles: 90.00 90.00 90.00
Space group P4/mmm (No. 123)
Unique sites:
V 0.000 0.500 0.000 (multiplicity 2)
H 0.000 0.000 0.000 (multiplicity 1)
Rh 0.500 0.500 0.500 (multiplicity 1)
W 0.000 0.000 0.500 (multiplicity 1)

---

Model B:
Density functional theory data (GGA-PBE) for a geometry-optimized V2HRhW structure.

Properties
Magnetization, μB/atom: 0.000

abc: 4.149 4.149 3.464
angles: 90.00 90.00 90.00
Space group P4/mmm (No. 123)
Unique sites:
V 0.000 0.500 0.000 (multiplicity 2)
H 0.000 0.000 0.000 (multiplicity 1)
Rh 0.000 0.000 0.500 (multiplicity 1)
W 0.500 0.500 0.500 (multiplicity 1)

---

Pick model B: it beats the second-best structure by 36 meV per atom.

=====

[1]
4
Lattice="-2.001 1.916 -1.208 -2.824 0.110 1.071 1.009 7.325 6.169" Properties=species:S:1:pos:R:3 comment="GGA-PBE ErGa2W, optimized geometry" total_magnetization_mub_per_cell=0.0 formation_enthalpy_0k_ev_per_atom=0.114 pbc="T T T"
Ga -1.014 2.185 1.365
Ga -2.802 7.167 4.668
Er -1.908 4.676 3.016
W 0.000 0.000 0.000

[2]
4
Lattice="3.268 0.000 0.000 0.000 3.266 0.000 0.000 0.000 9.666" Properties=species:S:1:pos:R:3 comment="GGA-PBE TcTePb2, optimized geometry" total_magnetization_mub_per_cell=0.0 raw_formation_energy_ev_per_fu=1.9 pbc="T T T"
Pb 0.000 0.000 4.235